-- Given --
********
Entry 1:
# AlFeNiPd | OQMD via LeMat-Bulk | PBE-GGA | optimized geometry
data_AlFeNiPd
_chemical_formula_sum 'Al4 Fe4 Ni4 Pd4'
_space_group_name_H-M_alt 'F -4 3 m'
_space_group_IT_number 216
_space_group_name_Hall 'F -4 2 3'
_cell_length_a 5.9002
_cell_length_b 5.9002
_cell_length_c 5.9002
_cell_angle_alpha 90.00
_cell_angle_beta 90.00
_cell_angle_gamma 90.00
loop_
_atom_site_label
_atom_site_fract_x
_atom_site_fract_y
_atom_site_fract_z
Al1 0.0000 0.0000 0.0000
Fe1 0.2500 0.2500 0.2500
Ni1 0.0000 0.0000 0.5000
Pd1 0.2500 0.2500 0.7500
# V (Å³ per cell): 205.4
# Energy (eV per atom): -6.0219
# Distance to the lowest polymorph of the same formula (eV per atom): 0.034



Entry 2:
# AlFeNiPd | OQMD via LeMat-Bulk | PBE-GGA | optimized geometry
data_AlFeNiPd
_chemical_formula_sum 'Al4 Fe4 Ni4 Pd4'
_space_group_name_H-M_alt 'F -4 3 m'
_space_group_IT_number 216
_space_group_name_Hall 'F -4 2 3'
_cell_length_a 5.9450
_cell_length_b 5.9450
_cell_length_c 5.9450
_cell_angle_alpha 90.00
_cell_angle_beta 90.00
_cell_angle_gamma 90.00
loop_
_atom_site_label
_atom_site_fract_x
_atom_site_fract_y
_atom_site_fract_z
Al1 0.0000 0.0000 0.0000
Fe1 0.0000 0.0000 0.5000
Ni1 0.2500 0.2500 0.2500
Pd1 0.2500 0.2500 0.7500
# V (Å³ per cell): 210.1
# Energy (eV per atom): -6.0560
# Distance to the lowest polymorph of the same formula (eV per atom): 0.000



Entry 3:
# AlFeNiPt | OQMD via LeMat-Bulk | PBE-GGA | optimized geometry
data_AlFeNiPt
_chemical_formula_sum 'Al4 Fe4 Ni4 Pt4'
_space_group_name_H-M_alt 'F -4 3 m'
_space_group_IT_number 216
_space_group_name_Hall 'F -4 2 3'
_cell_length_a 5.9565
_cell_length_b 5.9565
_cell_length_c 5.9565
_cell_angle_alpha 90.00
_cell_angle_beta 90.00
_cell_angle_gamma 90.00
loop_
_atom_site_label
_atom_site_fract_x
_atom_site_fract_y
_atom_site_fract_z
Al1 0.0000 0.0000 0.0000
Fe1 0.0000 0.0000 0.5000
Ni1 0.2500 0.2500 0.7500
Pt1 0.2500 0.2500 0.2500
# V (Å³ per cell): 211.3
# Energy (eV per atom): -6.3736
# Distance to the lowest polymorph of the same formula (eV per atom): 0.000



Entry 4:
# AlFeNiPt | OQMD via LeMat-Bulk | PBE-GGA | optimized geometry
data_AlFeNiPt
_chemical_formula_sum 'Al4 Fe4 Ni4 Pt4'
_space_group_name_H-M_alt 'F -4 3 m'
_space_group_IT_number 216
_space_group_name_Hall 'F -4 2 3'
_cell_length_a 5.9175
_cell_length_b 5.9175
_cell_length_c 5.9175
_cell_angle_alpha 90.00
_cell_angle_beta 90.00
_cell_angle_gamma 90.00
loop_
_atom_site_label
_atom_site_fract_x
_atom_site_fract_y
_atom_site_fract_z
Al1 0.0000 0.0000 0.0000
Fe1 0.2500 0.2500 0.2500
Ni1 0.0000 0.0000 0.5000
Pt1 0.2500 0.2500 0.7500
# V (Å³ per cell): 207.2
# Energy (eV per atom): -6.3374
# Distance to the lowest polymorph of the same formula (eV per atom): 0.036



Entry 5:
# AlFeReNi | OQMD via LeMat-Bulk | PBE-GGA | optimized geometry
data_AlFeReNi
_chemical_formula_sum 'Al4 Fe4 Re4 Ni4'
_space_group_name_H-M_alt 'F -4 3 m'
_space_group_IT_number 216
_space_group_name_Hall 'F -4 2 3'
_cell_length_a 5.8250
_cell_length_b 5.8250
_cell_length_c 5.8250
_cell_angle_alpha 90.00
_cell_angle_beta 90.00
_cell_angle_gamma 90.00
loop_
_atom_site_label
_atom_site_fract_x
_atom_site_fract_y
_atom_site_fract_z
Al1 0.0000 0.0000 0.0000
Fe1 0.2500 0.2500 0.2500
Re1 0.0000 0.0000 0.5000
Ni1 0.2500 0.2500 0.7500
# V (Å³ per cell): 197.7
# Energy (eV per atom): -7.5857
# Distance to the lowest polymorph of the same formula (eV per atom): 0.000



Entry 6:
# AlFeReNi | OQMD via LeMat-Bulk | PBE-GGA | optimized geometry
data_AlFeReNi
_chemical_formula_sum 'Al4 Fe4 Re4 Ni4'
_space_group_name_H-M_alt 'F -4 3 m'
_space_group_IT_number 216
_space_group_name_Hall 'F -4 2 3'
_cell_length_a 5.8618
_cell_length_b 5.8618
_cell_length_c 5.8618
_cell_angle_alpha 90.00
_cell_angle_beta 90.00
_cell_angle_gamma 90.00
loop_
_atom_site_label
_atom_site_fract_x
_atom_site_fract_y
_atom_site_fract_z
Al1 0.0000 0.0000 0.0000
Fe1 0.2500 0.2500 0.2500
Re1 0.2500 0.2500 0.7500
Ni1 0.0000 0.0000 0.5000
# V (Å³ per cell): 201.4
# Energy (eV per atom): -7.4329
********

-- Wanted --
Please return the rows above from the first line to the one with "cell): 201.4" unchanged.

-- Solution --
Entry 1:
# AlFeNiPd | OQMD via LeMat-Bulk | PBE-GGA | optimized geometry
data_AlFeNiPd
_chemical_formula_sum 'Al4 Fe4 Ni4 Pd4'
_space_group_name_H-M_alt 'F -4 3 m'
_space_group_IT_number 216
_space_group_name_Hall 'F -4 2 3'
_cell_length_a 5.9002
_cell_length_b 5.9002
_cell_length_c 5.9002
_cell_angle_alpha 90.00
_cell_angle_beta 90.00
_cell_angle_gamma 90.00
loop_
_atom_site_label
_atom_site_fract_x
_atom_site_fract_y
_atom_site_fract_z
Al1 0.0000 0.0000 0.0000
Fe1 0.2500 0.2500 0.2500
Ni1 0.0000 0.0000 0.5000
Pd1 0.2500 0.2500 0.7500
# V (Å³ per cell): 205.4
# Energy (eV per atom): -6.0219
# Distance to the lowest polymorph of the same formula (eV per atom): 0.034



Entry 2:
# AlFeNiPd | OQMD via LeMat-Bulk | PBE-GGA | optimized geometry
data_AlFeNiPd
_chemical_formula_sum 'Al4 Fe4 Ni4 Pd4'
_space_group_name_H-M_alt 'F -4 3 m'
_space_group_IT_number 216
_space_group_name_Hall 'F -4 2 3'
_cell_length_a 5.9450
_cell_length_b 5.9450
_cell_length_c 5.9450
_cell_angle_alpha 90.00
_cell_angle_beta 90.00
_cell_angle_gamma 90.00
loop_
_atom_site_label
_atom_site_fract_x
_atom_site_fract_y
_atom_site_fract_z
Al1 0.0000 0.0000 0.0000
Fe1 0.0000 0.0000 0.5000
Ni1 0.2500 0.2500 0.2500
Pd1 0.2500 0.2500 0.7500
# V (Å³ per cell): 210.1
# Energy (eV per atom): -6.0560
# Distance to the lowest polymorph of the same formula (eV per atom): 0.000



Entry 3:
# AlFeNiPt | OQMD via LeMat-Bulk | PBE-GGA | optimized geometry
data_AlFeNiPt
_chemical_formula_sum 'Al4 Fe4 Ni4 Pt4'
_space_group_name_H-M_alt 'F -4 3 m'
_space_group_IT_number 216
_space_group_name_Hall 'F -4 2 3'
_cell_length_a 5.9565
_cell_length_b 5.9565
_cell_length_c 5.9565
_cell_angle_alpha 90.00
_cell_angle_beta 90.00
_cell_angle_gamma 90.00
loop_
_atom_site_label
_atom_site_fract_x
_atom_site_fract_y
_atom_site_fract_z
Al1 0.0000 0.0000 0.0000
Fe1 0.0000 0.0000 0.5000
Ni1 0.2500 0.2500 0.7500
Pt1 0.2500 0.2500 0.2500
# V (Å³ per cell): 211.3
# Energy (eV per atom): -6.3736
# Distance to the lowest polymorph of the same formula (eV per atom): 0.000



Entry 4:
# AlFeNiPt | OQMD via LeMat-Bulk | PBE-GGA | optimized geometry
data_AlFeNiPt
_chemical_formula_sum 'Al4 Fe4 Ni4 Pt4'
_space_group_name_H-M_alt 'F -4 3 m'
_space_group_IT_number 216
_space_group_name_Hall 'F -4 2 3'
_cell_length_a 5.9175
_cell_length_b 5.9175
_cell_length_c 5.9175
_cell_angle_alpha 90.00
_cell_angle_beta 90.00
_cell_angle_gamma 90.00
loop_
_atom_site_label
_atom_site_fract_x
_atom_site_fract_y
_atom_site_fract_z
Al1 0.0000 0.0000 0.0000
Fe1 0.2500 0.2500 0.2500
Ni1 0.0000 0.0000 0.5000
Pt1 0.2500 0.2500 0.7500
# V (Å³ per cell): 207.2
# Energy (eV per atom): -6.3374
# Distance to the lowest polymorph of the same formula (eV per atom): 0.036



Entry 5:
# AlFeReNi | OQMD via LeMat-Bulk | PBE-GGA | optimized geometry
data_AlFeReNi
_chemical_formula_sum 'Al4 Fe4 Re4 Ni4'
_space_group_name_H-M_alt 'F -4 3 m'
_space_group_IT_number 216
_space_group_name_Hall 'F -4 2 3'
_cell_length_a 5.8250
_cell_length_b 5.8250
_cell_length_c 5.8250
_cell_angle_alpha 90.00
_cell_angle_beta 90.00
_cell_angle_gamma 90.00
loop_
_atom_site_label
_atom_site_fract_x
_atom_site_fract_y
_atom_site_fract_z
Al1 0.0000 0.0000 0.0000
Fe1 0.2500 0.2500 0.2500
Re1 0.0000 0.0000 0.5000
Ni1 0.2500 0.2500 0.7500
# V (Å³ per cell): 197.7
# Energy (eV per atom): -7.5857
# Distance to the lowest polymorph of the same formula (eV per atom): 0.000



Entry 6:
# AlFeReNi | OQMD via LeMat-Bulk | PBE-GGA | optimized geometry
data_AlFeReNi
_chemical_formula_sum 'Al4 Fe4 Re4 Ni4'
_space_group_name_H-M_alt 'F -4 3 m'
_space_group_IT_number 216
_space_group_name_Hall 'F -4 2 3'
_cell_length_a 5.8618
_cell_length_b 5.8618
_cell_length_c 5.8618
_cell_angle_alpha 90.00
_cell_angle_beta 90.00
_cell_angle_gamma 90.00
loop_
_atom_site_label
_atom_site_fract_x
_atom_site_fract_y
_atom_site_fract_z
Al1 0.0000 0.0000 0.0000
Fe1 0.2500 0.2500 0.2500
Re1 0.2500 0.2500 0.7500
Ni1 0.0000 0.0000 0.5000
# V (Å³ per cell): 201.4